Contents
The following is a meta-GGA r2SCAN calculation of a geometry-optimized Pr9Ga5S21 structure, from the Materials Project database.

Output
Space group   No. 146
ρ   4.7 Mg/m³
Volume   23.16 A^3/atom
Formation energy   -1.8203 eV per atom
Size of the total moment   0.0 Bohr magnetons per cell

Cell lengths 11.796, 11.796, 11.796 Å; angles 95.04, 95.04, 95.04 degrees
Element x y z (fractional)
S  0.944  0.039  0.794
S  0.071  0.482  0.966
S  0.039  0.794  0.944
S  0.674  0.007  0.346
S  0.310  0.553  0.408
S  0.236  0.092  0.993
S  0.481  0.619  0.725
S  0.667  0.897  0.761
S  0.389  0.817  0.301
S  0.619  0.725  0.481
S  0.110  0.696  0.212
S  0.696  0.212  0.110
S  0.301  0.389  0.817
S  0.993  0.236  0.092
S  0.359  0.874  0.786
S  0.346  0.674  0.007
S  0.794  0.944  0.039
S  0.212  0.110  0.696
S  0.547  0.451  0.012
S  0.553  0.408  0.310
S  0.165  0.633  0.725
S  0.817  0.301  0.389
S  0.897  0.761  0.667
S  0.012  0.547  0.451
S  0.092  0.993  0.236
S  0.379  0.150  0.286
S  0.874  0.786  0.359
S  0.150  0.286  0.379
S  0.633  0.725  0.165
S  0.451  0.012  0.547
S  0.007  0.346  0.674
S  0.510  0.171  0.846
S  0.966  0.071  0.482
S  0.725  0.165  0.633
S  0.171  0.846  0.510
S  0.482  0.966  0.071
S  0.408  0.310  0.553
S  0.286  0.379  0.150
S  0.761  0.667  0.897
S  0.786  0.359  0.874
S  0.725  0.481  0.619
S  0.846  0.510  0.171
Pr  0.743  0.116  0.885
Pr  0.771  0.552  0.393
Pr  0.393  0.771  0.552
Pr  0.211  0.437  0.585
Pr  0.437  0.585  0.211
Pr  0.585  0.211  0.437
Pr  0.557  0.782  0.933
Pr  0.080  0.456  0.228
Pr  0.101  0.250  0.872
Pr  0.250  0.872  0.101
Pr  0.456  0.228  0.080
Pr  0.885  0.743  0.116
Pr  0.782  0.933  0.557
Pr  0.872  0.101  0.250
Pr  0.228  0.080  0.456
Pr  0.933  0.557  0.782
Pr  0.116  0.885  0.743
Pr  0.552  0.393  0.771
Ga  0.852  0.852  0.852
Ga  0.391  0.049  0.723
Ga  0.644  0.644  0.644
Ga  0.145  0.145  0.145
Ga  0.723  0.391  0.049
Ga  0.551  0.885  0.228
Ga  0.351  0.351  0.351
Ga  0.228  0.551  0.885
Ga  0.049  0.723  0.391
Ga  0.885  0.228  0.551

=====

The following is a meta-GGA r2SCAN calculation of a geometry-optimized AcSe3 structure, from the Materials Project database.

Output
Space group   No. 194
ρ   7.4 Mg/m³
Volume   26.04 A^3/atom
Formation energy   -1.2069 eV per atom
Size of the total moment   0.0 Bohr magnetons per cell

Cell lengths 6.241, 6.241, 6.174 Å; angles 90.00, 90.00, 120.00 degrees
Element x y z (fractional)
Se  0.348  0.174  0.750
Se  0.826  0.174  0.750
Se  0.826  0.652  0.750
Se  0.174  0.826  0.250
Se  0.174  0.348  0.250
Se  0.652  0.826  0.250
Ac  0.333  0.667  0.750
Ac  0.667  0.333  0.250

=====

The following is a meta-GGA r2SCAN calculation of a geometry-optimized WBr2 structure, from the Materials Project database.

Output
Space group   No. 64
ρ   6.2 Mg/m³
Volume   30.84 A^3/atom
Formation energy   -0.5761 eV per atom
Size of the total moment   0.0 Bohr magnetons per cell

Cell lengths 9.781, 9.781, 11.983 Å; angles 90.00, 90.00, 104.43 degrees
Element x y z (fractional)
Br  0.692  0.451  0.290
Br  0.330  0.089  0.929
Br  0.846  0.846  0.346
Br  0.654  0.654  0.846
Br  0.808  0.049  0.790
Br  0.154  0.154  0.654
Br  0.346  0.346  0.154
Br  0.830  0.589  0.571
Br  0.549  0.308  0.710
Br  0.170  0.411  0.429
Br  0.214  0.786  0.500
Br  0.308  0.549  0.710
Br  0.589  0.830  0.571
Br  0.049  0.808  0.790
Br  0.192  0.951  0.210
Br  0.951  0.192  0.210
Br  0.670  0.911  0.071
Br  0.714  0.286  0.000
Br  0.451  0.692  0.290
Br  0.786  0.214  0.500
Br  0.286  0.714  0.000
Br  0.911  0.670  0.071
Br  0.411  0.170  0.429
Br  0.089  0.330  0.929
W  0.931  0.931  0.139
W  0.069  0.069  0.861
W  0.639  0.639  0.431
W  0.861  0.861  0.931
W  0.139  0.139  0.069
W  0.879  0.121  0.000
W  0.621  0.379  0.500
W  0.121  0.879  0.000
W  0.569  0.569  0.639
W  0.379  0.621  0.500
W  0.361  0.361  0.569
W  0.431  0.431  0.361

=====

The following is a meta-GGA r2SCAN calculation of a geometry-optimized LaNi3Rh2 structure, from the Materials Project database.
Activity
It remains to restate the listing above from the first line to the one with "90.00, 120.00" character by character.
Done
The following is a meta-GGA r2SCAN calculation of a geometry-optimized Pr9Ga5S21 structure, from the Materials Project database.

Output
Space group   No. 146
ρ   4.7 Mg/m³
Volume   23.16 A^3/atom
Formation energy   -1.8203 eV per atom
Size of the total moment   0.0 Bohr magnetons per cell

Cell lengths 11.796, 11.796, 11.796 Å; angles 95.04, 95.04, 95.04 degrees
Element x y z (fractional)
S  0.944  0.039  0.794
S  0.071  0.482  0.966
S  0.039  0.794  0.944
S  0.674  0.007  0.346
S  0.310  0.553  0.408
S  0.236  0.092  0.993
S  0.481  0.619  0.725
S  0.667  0.897  0.761
S  0.389  0.817  0.301
S  0.619  0.725  0.481
S  0.110  0.696  0.212
S  0.696  0.212  0.110
S  0.301  0.389  0.817
S  0.993  0.236  0.092
S  0.359  0.874  0.786
S  0.346  0.674  0.007
S  0.794  0.944  0.039
S  0.212  0.110  0.696
S  0.547  0.451  0.012
S  0.553  0.408  0.310
S  0.165  0.633  0.725
S  0.817  0.301  0.389
S  0.897  0.761  0.667
S  0.012  0.547  0.451
S  0.092  0.993  0.236
S  0.379  0.150  0.286
S  0.874  0.786  0.359
S  0.150  0.286  0.379
S  0.633  0.725  0.165
S  0.451  0.012  0.547
S  0.007  0.346  0.674
S  0.510  0.171  0.846
S  0.966  0.071  0.482
S  0.725  0.165  0.633
S  0.171  0.846  0.510
S  0.482  0.966  0.071
S  0.408  0.310  0.553
S  0.286  0.379  0.150
S  0.761  0.667  0.897
S  0.786  0.359  0.874
S  0.725  0.481  0.619
S  0.846  0.510  0.171
Pr  0.743  0.116  0.885
Pr  0.771  0.552  0.393
Pr  0.393  0.771  0.552
Pr  0.211  0.437  0.585
Pr  0.437  0.585  0.211
Pr  0.585  0.211  0.437
Pr  0.557  0.782  0.933
Pr  0.080  0.456  0.228
Pr  0.101  0.250  0.872
Pr  0.250  0.872  0.101
Pr  0.456  0.228  0.080
Pr  0.885  0.743  0.116
Pr  0.782  0.933  0.557
Pr  0.872  0.101  0.250
Pr  0.228  0.080  0.456
Pr  0.933  0.557  0.782
Pr  0.116  0.885  0.743
Pr  0.552  0.393  0.771
Ga  0.852  0.852  0.852
Ga  0.391  0.049  0.723
Ga  0.644  0.644  0.644
Ga  0.145  0.145  0.145
Ga  0.723  0.391  0.049
Ga  0.551  0.885  0.228
Ga  0.351  0.351  0.351
Ga  0.228  0.551  0.885
Ga  0.049  0.723  0.391
Ga  0.885  0.228  0.551

=====

The following is a meta-GGA r2SCAN calculation of a geometry-optimized AcSe3 structure, from the Materials Project database.

Output
Space group   No. 194
ρ   7.4 Mg/m³
Volume   26.04 A^3/atom
Formation energy   -1.2069 eV per atom
Size of the total moment   0.0 Bohr magnetons per cell

Cell lengths 6.241, 6.241, 6.174 Å; angles 90.00, 90.00, 120.00 degrees